**Assignment**
The reader should reproduce everything below without additions.
**Input**
~~~
1.
Diffraction record for PmEuO3. The X-ray diffraction stick pattern is computed, not measured: it uses a crystal structure in the Materials Project, relaxed with PBE and Cu Kα (weighted mean of Kα1 and Kα2).
Kinematic intensities with the Lorentz-polarization factor, no thermal factor.

Top 8 peaks for 15° ≤ 2θ ≤ 90°, sorted by position:
Position (°2θ)	d (Å)	intensity
28.38	3.145	1000
40.57	2.223	291
50.26	1.815	422
58.72	1.572	188
66.49	1.406	185
73.82	1.284	62
80.88	1.189	218
87.80	1.112	30

```
PmEuO3
1.0
4.447 0.000 0.000
0.000 4.447 0.000
0.000 0.000 4.447
Pm Eu O
1 1 3
direct
0.000 0.000 0.000
0.500 0.500 0.500
0.000 0.000 0.500
0.000 0.500 0.000
0.500 0.000 0.000
```

2.
Diffraction record for SrPrEuSbO6. The X-ray diffraction stick pattern is computed, not measured: it uses a crystal structure in the Materials Project, relaxed with PBE and Cu Kα (weighted mean of Kα1 and Kα2).
Kinematic intensities with the Lorentz-polarization factor, no thermal factor.

Top 8 peaks for 15° ≤ 2θ ≤ 90°, sorted by position:
Position (°2θ)	d (Å)	intensity
29.44	3.034	460
29.72	3.006	1000
29.92	2.986	990
30.23	2.956	470
42.68	2.118	707
52.67	1.738	211
53.25	1.720	217
53.64	1.709	237

```
SrPrEuSbO6
1.0
5.913 0.000 0.000
0.005 6.067 0.000
0.081 0.013 8.480
Sr Pr Eu Sb O
2 2 2 2 12
direct
0.012 0.453 0.251
0.988 0.547 0.749
0.000 0.000 0.000
0.500 0.500 0.500
0.487 0.952 0.248
0.513 0.048 0.752
0.000 0.000 0.500
0.500 0.500 0.000
0.104 0.968 0.728
0.179 0.723 0.446
0.225 0.686 0.051
0.276 0.184 0.445
0.323 0.220 0.055
0.404 0.462 0.772
0.596 0.538 0.228
0.677 0.780 0.945
0.724 0.816 0.555
0.775 0.314 0.949
0.821 0.277 0.554
0.896 0.032 0.272
```

3.
Diffraction record for SrPrEuSbO6. The X-ray diffraction stick pattern is computed, not measured: it uses a crystal structure in the Materials Project, relaxed with PBE and Cu Kα (weighted mean of Kα1 and Kα2).
Kinematic intensities with the Lorentz-polarization factor, no thermal factor.

Top 8 peaks for 15° ≤ 2θ ≤ 90°, sorted by position:
Position (°2θ)	d (Å)	intensity
29.63	3.015	1000
39.55	2.279	20
42.40	2.132	268
52.58	1.741	445
61.52	1.507	158
69.75	1.348	183
77.57	1.231	51
85.15	1.139	226

```
SrPrEuSbO6
1.0
8.523 0.000 0.000
0.000 8.529 0.000
0.000 0.000 8.529
Sr Pr Eu Sb O
4 4 4 4 24
direct
0.250 0.250 0.250
0.250 0.250 0.750
0.750 0.750 0.250
0.750 0.750 0.750
0.000 0.000 0.000
0.000 0.500 0.500
0.500 0.000 0.500
0.500 0.500 0.000
0.250 0.750 0.250
0.250 0.750 0.750
0.750 0.250 0.250
0.750 0.250 0.750
0.000 0.000 0.500
0.000 0.500 0.000
0.500 0.000 0.000
0.500 0.500 0.500
0.036 0.045 0.270
0.036 0.455 0.230
0.047 0.729 0.038
0.047 0.771 0.462
0.230 0.037 0.545
0.230 0.463 0.955
0.270 0.037 0.955
0.270 0.463 0.545
0.453 0.729 0.462
0.453 0.771 0.038
0.464 0.045 0.230
0.464 0.455 0.270
0.536 0.545 0.730
0.536 0.955 0.770
0.547 0.229 0.962
0.547 0.271 0.538
0.730 0.537 0.455
0.730 0.963 0.045
0.770 0.537 0.045
0.770 0.963 0.455
0.953 0.229 0.538
0.953 0.271 0.962
0.964 0.545 0.770
0.964 0.955 0.730
```

4.
Diffraction record for SrPrEuSbO6. The X-ray diffraction stick pattern is computed, not measured: it uses a crystal structure in the Materials Project, relaxed with PBE and Cu Kα (weighted mean of Kα1 and Kα2).
Kinematic intensities with the Lorentz-polarization factor, no thermal factor.

Top 8 peaks for 15° ≤ 2θ ≤ 90°, sorted by position:
Position (°2θ)	d (Å)	intensity
17.87	4.963	39
29.39	3.039	1000
42.05	2.149	301
52.13	1.755	406
60.97	1.520	187
69.11	1.359	182
76.83	1.241	62
84.31	1.149	216

```
SrPrEuSbO6
1.0
0.000 4.298 4.298
4.298 0.000 4.298
4.298 4.298 0.000
Sr Pr Eu Sb O
1 1 1 1 6
direct
0.000 0.000 0.000
0.250 0.250 0.250
0.500 0.500 0.500
0.750 0.750 0.750
0.518 0.518 0.982
0.518 0.982 0.518
0.518 0.982 0.982
0.982 0.518 0.518
0.982 0.518 0.982
0.982 0.982 0.518
```

Please write out number 1 again, unchanged.
~~~
**Reply**
1.
Diffraction record for PmEuO3. The X-ray diffraction stick pattern is computed, not measured: it uses a crystal structure in the Materials Project, relaxed with PBE and Cu Kα (weighted mean of Kα1 and Kα2).
Kinematic intensities with the Lorentz-polarization factor, no thermal factor.

Top 8 peaks for 15° ≤ 2θ ≤ 90°, sorted by position:
Position (°2θ)	d (Å)	intensity
28.38	3.145	1000
40.57	2.223	291
50.26	1.815	422
58.72	1.572	188
66.49	1.406	185
73.82	1.284	62
80.88	1.189	218
87.80	1.112	30

```
PmEuO3
1.0
4.447 0.000 0.000
0.000 4.447 0.000
0.000 0.000 4.447
Pm Eu O
1 1 3
direct
0.000 0.000 0.000
0.500 0.500 0.500
0.000 0.000 0.500
0.000 0.500 0.000
0.500 0.000 0.000
```

2.
Diffraction record for SrPrEuSbO6. The X-ray diffraction stick pattern is computed, not measured: it uses a crystal structure in the Materials Project, relaxed with PBE and Cu Kα (weighted mean of Kα1 and Kα2).
Kinematic intensities with the Lorentz-polarization factor, no thermal factor.

Top 8 peaks for 15° ≤ 2θ ≤ 90°, sorted by position:
Position (°2θ)	d (Å)	intensity
29.44	3.034	460
29.72	3.006	1000
29.92	2.986	990
30.23	2.956	470
42.68	2.118	707
52.67	1.738	211
53.25	1.720	217
53.64	1.709	237

```
SrPrEuSbO6
1.0
5.913 0.000 0.000
0.005 6.067 0.000
0.081 0.013 8.480
Sr Pr Eu Sb O
2 2 2 2 12
direct
0.012 0.453 0.251
0.988 0.547 0.749
0.000 0.000 0.000
0.500 0.500 0.500
0.487 0.952 0.248
0.513 0.048 0.752
0.000 0.000 0.500
0.500 0.500 0.000
0.104 0.968 0.728
0.179 0.723 0.446
0.225 0.686 0.051
0.276 0.184 0.445
0.323 0.220 0.055
0.404 0.462 0.772
0.596 0.538 0.228
0.677 0.780 0.945
0.724 0.816 0.555
0.775 0.314 0.949
0.821 0.277 0.554
0.896 0.032 0.272
```

3.
Diffraction record for SrPrEuSbO6. The X-ray diffraction stick pattern is computed, not measured: it uses a crystal structure in the Materials Project, relaxed with PBE and Cu Kα (weighted mean of Kα1 and Kα2).
Kinematic intensities with the Lorentz-polarization factor, no thermal factor.

Top 8 peaks for 15° ≤ 2θ ≤ 90°, sorted by position:
Position (°2θ)	d (Å)	intensity
29.63	3.015	1000
39.55	2.279	20
42.40	2.132	268
52.58	1.741	445
61.52	1.507	158
69.75	1.348	183
77.57	1.231	51
85.15	1.139	226

```
SrPrEuSbO6
1.0
8.523 0.000 0.000
0.000 8.529 0.000
0.000 0.000 8.529
Sr Pr Eu Sb O
4 4 4 4 24
direct
0.250 0.250 0.250
0.250 0.250 0.750
0.750 0.750 0.250
0.750 0.750 0.750
0.000 0.000 0.000
0.000 0.500 0.500
0.500 0.000 0.500
0.500 0.500 0.000
0.250 0.750 0.250
0.250 0.750 0.750
0.750 0.250 0.250
0.750 0.250 0.750
0.000 0.000 0.500
0.000 0.500 0.000
0.500 0.000 0.000
0.500 0.500 0.500
0.036 0.045 0.270
0.036 0.455 0.230
0.047 0.729 0.038
0.047 0.771 0.462
0.230 0.037 0.545
0.230 0.463 0.955
0.270 0.037 0.955
0.270 0.463 0.545
0.453 0.729 0.462
0.453 0.771 0.038
0.464 0.045 0.230
0.464 0.455 0.270
0.536 0.545 0.730
0.536 0.955 0.770
0.547 0.229 0.962
0.547 0.271 0.538
0.730 0.537 0.455
0.730 0.963 0.045
0.770 0.537 0.045
0.770 0.963 0.455
0.953 0.229 0.538
0.953 0.271 0.962
0.964 0.545 0.770
0.964 0.955 0.730
```

4.
Diffraction record for SrPrEuSbO6. The X-ray diffraction stick pattern is computed, not measured: it uses a crystal structure in the Materials Project, relaxed with PBE and Cu Kα (weighted mean of Kα1 and Kα2).
Kinematic intensities with the Lorentz-polarization factor, no thermal factor.

Top 8 peaks for 15° ≤ 2θ ≤ 90°, sorted by position:
Position (°2θ)	d (Å)	intensity
17.87	4.963	39
29.39	3.039	1000
42.05	2.149	301
52.13	1.755	406
60.97	1.520	187
69.11	1.359	182
76.83	1.241	62
84.31	1.149	216

```
SrPrEuSbO6
1.0
0.000 4.298 4.298
4.298 0.000 4.298
4.298 4.298 0.000
Sr Pr Eu Sb O
1 1 1 1 6
direct
0.000 0.000 0.000
0.250 0.250 0.250
0.500 0.500 0.500
0.750 0.750 0.750
0.518 0.518 0.982
0.518 0.982 0.518
0.518 0.982 0.982
0.982 0.518 0.518
0.982 0.518 0.982
0.982 0.982 0.518
```

Please write out number 1 again, unchanged.